• File:
........
[1]
Calculated powder diffractogram
Compound: TlCdTe
Radiation: Cu Kα X-rays
Structure: a cell relaxed with PBE
Intensities are scaled so that the largest is 100.

Most intense lines, 2θ from 5° to 70°, by angle:
hkl  Position (°2θ)  I_rel
1 1 1  25.89  13.2
2 0 0  26.27  17.6
0 1 3  29.64  100.0
1 0 4  30.48  22.7
1 1 -3  32.49  19.8
2 1 1  34.69  52.2
2 0 4  38.34  17.5
2 1 -3  40.00  13.4
0 2 0  43.10  21.9
1 1 7  55.76  19.8

Structure:
Cell: 6.785 4.196 13.009 Å, 90.00 90.04 90.00°
Space group P2_1/m (No. 11)
Unique sites:
Tl (0.227, 0.250, 0.428) [2 per cell]
Tl (0.272, 0.750, 0.928) [2 per cell]
Cd (0.048, 0.250, 0.762) [2 per cell]
Cd (0.451, 0.750, 0.262) [2 per cell]
Te (0.230, 0.250, 0.134) [2 per cell]
Te (0.271, 0.750, 0.635) [2 per cell]

***

[2]
Calculated powder diffractogram
Compound: GeIr9
Radiation: Cu Kα X-rays
Structure: a cell relaxed with PBE
Intensities are scaled so that the largest is 100.

Most intense lines, 2θ from 5° to 70°, by angle:
hkl  Position (°2θ)  I_rel
0 0 4  8.72  17.5
0 1 14  38.82  28.0
1 1 0  40.31  100.0
0 1 15  40.70  66.1
1 0 14  45.53  18.0
0 2 0  46.96  32.5
1 0 15  47.19  45.1
1 2 14  67.46  11.3
2 0 0  68.39  10.7
1 2 15  68.76  28.6

Structure:
Cell: 2.744 3.871 40.560 Å, 90.00 90.00 90.00°
Space group Pmmn (No. 59, origin choice 2)
Unique sites:
Ge (0.250, 0.250, 0.181) [2 per cell]
Ir (0.250, 0.250, 0.247) [2 per cell]
Ir (0.250, 0.250, 0.315) [2 per cell]
Ir (0.250, 0.250, 0.382) [2 per cell]
Ir (0.250, 0.250, 0.449) [2 per cell]
Ir (0.250, 0.250, 0.517) [2 per cell]
Ir (0.250, 0.250, 0.584) [2 per cell]
Ir (0.250, 0.250, 0.652) [2 per cell]
Ir (0.250, 0.250, 0.719) [2 per cell]
Ir (0.250, 0.250, 0.787) [2 per cell]

***

[3]
Calculated powder diffractogram
Compound: TbEr2Cu4Sn4
Radiation: Cu Kα X-rays
Structure: a cell relaxed with PBE
Intensities are scaled so that the largest is 100.

Most intense lines, 2θ from 5° to 70°, by angle:
hkl  Position (°2θ)  I_rel
0 1 5  33.14  27.4
1 2 1  33.27  97.8
1 1 4  34.23  100.0
0 0 6  36.76  19.7
2 0 0  40.62  42.1
0 3 3  43.17  23.4
1 2 5  45.30  22.1
2 1 5  53.39  14.2
2 3 3  60.76  16.5
2 4 0  68.54  14.5

Structure:
Cell: 4.442 6.959 14.667 Å, 90.00 90.00 90.00°
Space group Immm (No. 71)
Unique sites:
Tb (0.000, 0.000, 0.000) [2 per cell]
Er (0.000, 0.500, 0.131) [4 per cell]
Cu (0.000, 0.312, 0.330) [8 per cell]
Sn (0.000, 0.000, 0.217) [4 per cell]
Sn (0.000, 0.202, 0.500) [4 per cell]

***

[4]
Calculated powder diffractogram
Compound: Tl2AgTe2Au
Radiation: Cu Kα X-rays
Structure: a cell relaxed with PBE
Intensities are scaled so that the largest is 100.

Most intense lines, 2θ from 5° to 70°, by angle:
hkl  Position (°2θ)  I_rel
0 0 1  9.24  2.8
1 0 0  21.53  4.0
1 0 2  28.56  100.0
0 0 4  37.60  15.9
1 1 0  37.74  47.3
2 0 2  48.00  24.4
1 1 4  54.33  33.1
1 0 6  62.42  11.1
2 1 2  62.62  22.1
3 0 0  68.15  8.4

Structure:
Cell: 4.7667 4.7667 9.5697 Å, 90.00 90.00 120.00°
Space group P-6m2 (No. 187)
Unique sites:
Tl (0.0000, 0.0000, 0.2495) [2 per cell]
Ag (0.3333, 0.6667, 0.0000) [1 per cell]
Te (0.3333, 0.6667, 0.5000) [1 per cell]
Te (0.6667, 0.3333, 0.0000) [1 per cell]
Au (0.6667, 0.3333, 0.5000) [1 per cell]

***

[5]
Calculated powder diffractogram
Compound: Sb2IrC3O3F13
Radiation: Cu Kα X-rays
Structure: a cell relaxed with PBE
Intensities are scaled so that the largest is 100.

Most intense lines, 2θ from 5° to 70°, by angle:
hkl  Position (°2θ)  I_rel
0 1 1  12.96  100.0
1 0 1  13.82  60.8
1 0 -1  16.56  37.9
0 0 2  20.61  43.0
1 0 2  21.68  73.3
2 0 0  22.62  53.0
0 2 0  23.31  87.4
2 -1 0  25.00  48.5
1 0 -2  25.28  41.6
2 1 0  25.94  46.1

Structure:
Cell: 7.992 8.006 9.182 Å, 72.58 79.98 89.34°
Space group P-1 (No. 2)
Unique sites:
Sb (0.168, 0.256, 0.145) [2 per cell]
Sb (0.176, 0.282, 0.659) [2 per cell]
Ir (0.297, 0.802, 0.204) [2 per cell]
C (0.289, 0.826, 0.414) [2 per cell]
C (0.319, 0.788, 0.987) [2 per cell]
C (0.412, 0.594, 0.257) [2 per cell]
O (0.301, 0.844, 0.530) [2 per cell]
........

• Wanted:
What is needed: count the lines earlier on that contain the word "GeIr9" and give the number alone.

• Here it is:
1